Contents =
+++
1.
A plane-wave DFT calculation with PBE was carried out for crystalline MgAl2B28 at its relaxed geometry.

Output
crystal system = triclinic
ΔH_f (0 K) = -9 kJ per mole of atoms
energy above the most stable polymorph in this dataset = 0.00 eV/f.u.

a = 7.1732 Å, b = 7.1753 Å, c = 10.9540 Å
α = 101.37°, β = 102.49°, γ = 111.43°
Atoms (fractional coordinates):
1 B 0.6976 0.6946 0.3356
2 B 0.1214 0.0963 0.8912
3 B 0.3717 0.8732 0.3347
4 B 0.9659 0.5894 0.2048
5 B 0.5401 0.2731 0.1410
6 B 0.6287 0.2588 0.5443
7 B 0.8071 0.3077 0.1663
8 B 0.3807 0.1223 0.4151
9 B 0.2865 0.5314 0.9165
10 B 0.7746 0.1023 0.5480
11 B 0.3829 0.8981 0.6101
12 B 0.6173 0.1015 0.3909
13 B 0.6317 0.1242 0.6636
14 B 0.5366 0.4130 0.2937
15 B 0.9587 0.4662 0.3353
16 B 0.7271 0.8992 0.9536
17 B 0.6938 0.4632 0.9261
18 B 0.2250 0.8965 0.4522
19 B 0.1292 0.1204 0.1631
20 B 0.1187 0.8691 0.0860
21 B 0.8684 0.7389 0.9622
22 B 0.2043 0.7242 0.1728
23 B 0.2108 0.4676 0.5864
24 B 0.0423 0.5342 0.6657
25 B 0.1325 0.2592 0.0402
26 B 0.8908 0.1399 0.0825
27 B 0.8841 0.8998 0.1124
28 B 0.6219 0.8769 0.5868
29 B 0.1915 0.6890 0.8353
30 B 0.6139 0.8629 0.4192
31 B 0.1944 0.2722 0.7971
32 B 0.1083 0.8560 0.9190
33 B 0.7931 0.5365 0.4171
34 B 0.7105 0.4642 0.0859
35 B 0.0320 0.4067 0.7954
36 B 0.8067 0.5303 0.5774
37 B 0.9622 0.7248 0.3607
38 B 0.6993 0.2739 0.2988
39 B 0.3017 0.5298 0.0750
40 B 0.4574 0.4691 0.8358
41 B 0.5405 0.5349 0.1664
42 B 0.8822 0.1273 0.9160
43 B 0.7063 0.7313 0.6768
44 B 0.7911 0.2697 0.8288
45 B 0.3053 0.7299 0.7075
46 B 0.2952 0.2696 0.3261
47 B 0.3015 0.3051 0.6665
48 B 0.8707 0.8784 0.8378
49 B 0.1965 0.4695 0.4251
50 B 0.4663 0.5871 0.7083
51 B 0.8027 0.7252 0.2033
52 B 0.0370 0.2733 0.6400
53 B 0.2752 0.0980 0.0492
54 B 0.3704 0.7420 0.4571
55 B 0.4610 0.7273 0.8620
56 B 0.3862 0.1353 0.5822
57 Al 0.2172 0.4778 0.2353
58 Al 0.7937 0.5322 0.7662
59 Al 0.4547 0.1488 0.8115
60 Al 0.5104 0.5100 0.4992
61 Mg 0.9962 0.0925 0.3987
62 Mg 0.5025 0.8873 0.1130

2.
A plane-wave DFT calculation with PBE was carried out for crystalline MgAlB4 at its relaxed geometry.

Output
crystal system = hexagonal
ΔH_f (0 K) = -14 kJ per mole of atoms

a = 3.0391 Å, b = 3.0391 Å, c = 6.7439 Å
α = 90.00°, β = 90.00°, γ = 120.00°
Atoms (fractional coordinates):
1 Al 0.0000 0.0000 0.0000
2 B 0.3333 0.6667 0.2337
3 B 0.6667 0.3333 0.7663
4 B 0.6667 0.3333 0.2337
5 B 0.3333 0.6667 0.7663
6 Mg 0.0000 0.0000 0.5000

3.
A plane-wave DFT calculation with PBE was carried out for crystalline Mg14AlBO16 at its relaxed geometry.

Output
crystal system = orthorhombic
ΔH_f (0 K) = -271 kJ per mole of atoms
corrected total energy (MP2020 scheme) = -6.31 eV/atom
energy above the most stable polymorph in this dataset = 0.00 eV/f.u.

a = 4.2372 Å, b = 8.5147 Å, c = 8.5511 Å
α = 90.00°, β = 90.00°, γ = 90.00°
Atoms (fractional coordinates):
1 O 0.0000 0.7366 0.5000
2 O 0.0000 0.5000 0.2443
3 O 0.5000 0.5000 0.0000
4 O 0.5000 0.0000 0.0000
5 O 0.5000 0.7514 0.7503
6 O 0.0000 0.2363 0.0000
7 O 0.0000 0.7637 0.0000
8 O 0.0000 0.2634 0.5000
9 O 0.0000 0.0000 0.2163
10 O 0.5000 0.2486 0.2497
11 O 0.5000 0.7514 0.2497
12 O 0.5000 0.5000 0.5000
13 O 0.0000 0.0000 0.7837
14 O 0.0000 0.5000 0.7557
15 O 0.5000 0.2486 0.7503
16 O 0.5000 0.0000 0.5000
17 Mg 0.0000 0.7525 0.2553
18 Mg 0.5000 0.0000 0.2560
19 Mg 0.5000 0.7533 0.5000
20 Mg 0.5000 0.2499 0.0000
21 Mg 0.0000 0.2475 0.2553
22 Mg 0.0000 0.5000 0.5000
23 Mg 0.0000 0.5000 0.0000
24 Mg 0.5000 0.2467 0.5000
25 Mg 0.5000 0.0000 0.7440
26 Mg 0.5000 0.7501 0.0000
27 Mg 0.0000 0.2475 0.7447
28 Mg 0.0000 0.7525 0.7447
29 Mg 0.5000 0.5000 0.2526
30 Mg 0.5000 0.5000 0.7474
31 Al 0.0000 0.0000 0.0000
32 B 0.0000 0.0000 0.5000

4.
A plane-wave DFT calculation with PBE was carried out for crystalline Mg14AlBO16 at its relaxed geometry.

Output
crystal system = tetragonal
ΔH_f (0 K) = -270 kJ per mole of atoms
corrected total energy (MP2020 scheme) = -6.30 eV/atom
energy above the most stable polymorph in this dataset = 0.44 eV/f.u.
+++

Request =
The reader should retype the block earlier on without additions.

Response =
1.
A plane-wave DFT calculation with PBE was carried out for crystalline MgAl2B28 at its relaxed geometry.

Output
crystal system = triclinic
ΔH_f (0 K) = -9 kJ per mole of atoms
energy above the most stable polymorph in this dataset = 0.00 eV/f.u.

a = 7.1732 Å, b = 7.1753 Å, c = 10.9540 Å
α = 101.37°, β = 102.49°, γ = 111.43°
Atoms (fractional coordinates):
1 B 0.6976 0.6946 0.3356
2 B 0.1214 0.0963 0.8912
3 B 0.3717 0.8732 0.3347
4 B 0.9659 0.5894 0.2048
5 B 0.5401 0.2731 0.1410
6 B 0.6287 0.2588 0.5443
7 B 0.8071 0.3077 0.1663
8 B 0.3807 0.1223 0.4151
9 B 0.2865 0.5314 0.9165
10 B 0.7746 0.1023 0.5480
11 B 0.3829 0.8981 0.6101
12 B 0.6173 0.1015 0.3909
13 B 0.6317 0.1242 0.6636
14 B 0.5366 0.4130 0.2937
15 B 0.9587 0.4662 0.3353
16 B 0.7271 0.8992 0.9536
17 B 0.6938 0.4632 0.9261
18 B 0.2250 0.8965 0.4522
19 B 0.1292 0.1204 0.1631
20 B 0.1187 0.8691 0.0860
21 B 0.8684 0.7389 0.9622
22 B 0.2043 0.7242 0.1728
23 B 0.2108 0.4676 0.5864
24 B 0.0423 0.5342 0.6657
25 B 0.1325 0.2592 0.0402
26 B 0.8908 0.1399 0.0825
27 B 0.8841 0.8998 0.1124
28 B 0.6219 0.8769 0.5868
29 B 0.1915 0.6890 0.8353
30 B 0.6139 0.8629 0.4192
31 B 0.1944 0.2722 0.7971
32 B 0.1083 0.8560 0.9190
33 B 0.7931 0.5365 0.4171
34 B 0.7105 0.4642 0.0859
35 B 0.0320 0.4067 0.7954
36 B 0.8067 0.5303 0.5774
37 B 0.9622 0.7248 0.3607
38 B 0.6993 0.2739 0.2988
39 B 0.3017 0.5298 0.0750
40 B 0.4574 0.4691 0.8358
41 B 0.5405 0.5349 0.1664
42 B 0.8822 0.1273 0.9160
43 B 0.7063 0.7313 0.6768
44 B 0.7911 0.2697 0.8288
45 B 0.3053 0.7299 0.7075
46 B 0.2952 0.2696 0.3261
47 B 0.3015 0.3051 0.6665
48 B 0.8707 0.8784 0.8378
49 B 0.1965 0.4695 0.4251
50 B 0.4663 0.5871 0.7083
51 B 0.8027 0.7252 0.2033
52 B 0.0370 0.2733 0.6400
53 B 0.2752 0.0980 0.0492
54 B 0.3704 0.7420 0.4571
55 B 0.4610 0.7273 0.8620
56 B 0.3862 0.1353 0.5822
57 Al 0.2172 0.4778 0.2353
58 Al 0.7937 0.5322 0.7662
59 Al 0.4547 0.1488 0.8115
60 Al 0.5104 0.5100 0.4992
61 Mg 0.9962 0.0925 0.3987
62 Mg 0.5025 0.8873 0.1130

2.
A plane-wave DFT calculation with PBE was carried out for crystalline MgAlB4 at its relaxed geometry.

Output
crystal system = hexagonal
ΔH_f (0 K) = -14 kJ per mole of atoms

a = 3.0391 Å, b = 3.0391 Å, c = 6.7439 Å
α = 90.00°, β = 90.00°, γ = 120.00°
Atoms (fractional coordinates):
1 Al 0.0000 0.0000 0.0000
2 B 0.3333 0.6667 0.2337
3 B 0.6667 0.3333 0.7663
4 B 0.6667 0.3333 0.2337
5 B 0.3333 0.6667 0.7663
6 Mg 0.0000 0.0000 0.5000

3.
A plane-wave DFT calculation with PBE was carried out for crystalline Mg14AlBO16 at its relaxed geometry.

Output
crystal system = orthorhombic
ΔH_f (0 K) = -271 kJ per mole of atoms
corrected total energy (MP2020 scheme) = -6.31 eV/atom
energy above the most stable polymorph in this dataset = 0.00 eV/f.u.

a = 4.2372 Å, b = 8.5147 Å, c = 8.5511 Å
α = 90.00°, β = 90.00°, γ = 90.00°
Atoms (fractional coordinates):
1 O 0.0000 0.7366 0.5000
2 O 0.0000 0.5000 0.2443
3 O 0.5000 0.5000 0.0000
4 O 0.5000 0.0000 0.0000
5 O 0.5000 0.7514 0.7503
6 O 0.0000 0.2363 0.0000
7 O 0.0000 0.7637 0.0000
8 O 0.0000 0.2634 0.5000
9 O 0.0000 0.0000 0.2163
10 O 0.5000 0.2486 0.2497
11 O 0.5000 0.7514 0.2497
12 O 0.5000 0.5000 0.5000
13 O 0.0000 0.0000 0.7837
14 O 0.0000 0.5000 0.7557
15 O 0.5000 0.2486 0.7503
16 O 0.5000 0.0000 0.5000
17 Mg 0.0000 0.7525 0.2553
18 Mg 0.5000 0.0000 0.2560
19 Mg 0.5000 0.7533 0.5000
20 Mg 0.5000 0.2499 0.0000
21 Mg 0.0000 0.2475 0.2553
22 Mg 0.0000 0.5000 0.5000
23 Mg 0.0000 0.5000 0.0000
24 Mg 0.5000 0.2467 0.5000
25 Mg 0.5000 0.0000 0.7440
26 Mg 0.5000 0.7501 0.0000
27 Mg 0.0000 0.2475 0.7447
28 Mg 0.0000 0.7525 0.7447
29 Mg 0.5000 0.5000 0.2526
30 Mg 0.5000 0.5000 0.7474
31 Al 0.0000 0.0000 0.0000
32 B 0.0000 0.0000 0.5000

4.
A plane-wave DFT calculation with PBE was carried out for crystalline Mg14AlBO16 at its relaxed geometry.

Output
crystal system = tetragonal
ΔH_f (0 K) = -270 kJ per mole of atoms
corrected total energy (MP2020 scheme) = -6.30 eV/atom
energy above the most stable polymorph in this dataset = 0.44 eV/f.u.